Material.
<<<
1.
Computed, not measured: crystalline TaTcAgO6 at its relaxed geometry at the GGA-PBE level of DFT.

Geometry as POSCAR:
```
TaTcAgO6
1.0
5.2570 0.0000 0.0000
-2.6285 4.5527 0.0000
0.0000 0.0000 9.9299
O Ag Ta Tc
12 2 2 2
direct
0.6220 0.6295 0.1412
0.3780 0.3705 0.8588
0.3780 0.0074 0.6412
0.6220 0.9926 0.3588
0.3705 0.3780 0.3588
0.3705 0.9926 0.1412
0.0074 0.3780 0.1412
0.6295 0.0074 0.8588
0.0074 0.6295 0.3588
0.9926 0.6220 0.8588
0.6295 0.6220 0.6412
0.9926 0.3705 0.6412
0.0000 0.0000 0.5000
0.0000 0.0000 0.0000
0.6667 0.3333 0.2500
0.3333 0.6667 0.7500
0.3333 0.6667 0.2500
0.6667 0.3333 0.7500
```

Size of the total moment (Bohr magnetons per cell): 2.03
Crystal system: trigonal
ΔE_f (raw) (eV per atom): -1.602

2.
Computed, not measured: crystalline TaAg2TeO6 at its relaxed geometry at the GGA-PBE level of DFT.

Geometry as POSCAR:
```
TaAg2TeO6
1.0
4.0617 0.0000 0.0000
0.0000 5.7035 0.0000
0.0000 0.0000 5.7035
O Ag Ta Te
6 2 1 1
direct
0.6563 0.2535 0.2535
0.6563 0.7465 0.2535
0.6563 0.7465 0.7465
0.1477 0.5000 0.5000
0.1483 0.0000 0.0000
0.6563 0.2535 0.7465
0.1306 0.0000 0.5000
0.1306 0.5000 0.0000
0.6164 0.5000 0.5000
0.6480 0.0000 0.0000
```

Size of the total moment (Bohr magnetons per cell): 0.00
Crystal system: tetragonal
ΔE_f (raw) (eV per atom): -1.224

3.
Computed, not measured: crystalline TaAgTe2O8 at its relaxed geometry at the GGA-PBE level of DFT.

Geometry as POSCAR:
```
TaAgTe2O8
1.0
-4.5067 -1.6021 -3.0444
-1.7260 -6.3179 0.6002
-4.8437 -3.1497 3.5481
O Te Ag Ta
8 2 1 1
direct
0.3655 0.0361 0.7446
0.1462 0.9639 0.2554
0.0955 0.5939 0.2151
0.3275 0.5053 0.8398
0.6345 0.9639 0.2554
0.6725 0.4947 0.1602
0.8538 0.0361 0.7446
0.9045 0.4061 0.7849
0.2743 0.2268 0.2246
0.7257 0.7732 0.7754
0.5000 0.5000 0.5000
0.0000 0.0000 0.0000
```

Size of the total moment (Bohr magnetons per cell): 0.54
Crystal system: monoclinic
ΔE_f (raw) (eV per atom): -1.168

4.
Computed, not measured: crystalline TaTi2AgO8 at its relaxed geometry at the GGA-PBE level of DFT.

Geometry as POSCAR:
```
TaTi2AgO8
1.0
-0.3180 -1.7916 -4.4018
4.4692 -1.5954 0.4475
-1.8845 -5.3197 2.5804
O Ti Ta Ag
8 2 1 1
direct
0.3181 0.3189 0.4999
0.3040 0.3047 0.0001
0.7762 0.2228 0.7888
0.1931 0.8076 0.7641
0.6819 0.6811 0.5001
0.2238 0.7772 0.2112
0.6960 0.6953 0.9999
0.8069 0.1924 0.2359
0.5038 0.4968 0.7483
0.4962 0.5032 0.2517
0.0000 0.0000 0.0000
0.0000 0.0000 0.5000
```

Size of the total moment (Bohr magnetons per cell): 0.00
Crystal system: monoclinic
ΔE_f (raw) (eV per atom): -2.245

5.
Computed, not measured: crystalline Ta2Tl2AgO7 at its relaxed geometry at the GGA-PBE level of DFT.

Geometry as POSCAR:
```
Ta2Tl2AgO7
1.0
-3.9781 0.2585 -0.2955
-0.3936 -3.8515 0.9950
-1.8719 1.7720 10.8426
Ag Ta Tl O
1 2 2 7
direct
0.0000 0.0000 0.0000
0.4239 0.4239 0.1816
0.5761 0.5761 0.8184
0.8165 0.8165 0.3949
0.1835 0.1835 0.6051
0.4470 0.9415 0.1826
0.5530 0.0585 0.8174
0.5964 0.5964 0.6355
0.0585 0.5530 0.8174
0.4036 0.4036 0.3645
0.9415 0.4470 0.1826
0.5000 0.5000 0.0000
```

Size of the total moment (Bohr magnetons per cell): 0.00
Crystal system: monoclinic
ΔE_f (raw) (eV per atom): -1.799

6.
Computed, not measured: crystalline UTaAgO6 at its relaxed geometry at the GGA-PBE level of DFT.

Geometry as POSCAR:
```
UTaAgO6
1.0
5.5829 0.0000 0.0000
-2.7915 4.8350 0.0000
0.0000 0.0000 10.0358
O Ta U Ag
12 2 2 2
direct
0.6184 0.9882 0.3564
0.0118 0.6302 0.3564
0.3698 0.9882 0.1436
0.6184 0.6302 0.1436
0.6302 0.0118 0.8564
0.3698 0.3816 0.3564
0.3816 0.3698 0.8564
0.0118 0.3816 0.1436
0.9882 0.6184 0.8564
0.3816 0.0118 0.6436
0.9882 0.3698 0.6436
0.6302 0.6184 0.6436
0.3333 0.6667 0.2500
0.6667 0.3333 0.7500
0.6667 0.3333 0.2500
0.3333 0.6667 0.7500
0.0000 0.0000 0.5000
0.0000 0.0000 0.0000
```

Size of the total moment (Bohr magnetons per cell): 0.00
Crystal system: trigonal
ΔE_f (raw) (eV per atom): -2.441

* * * * *

A relaxed LiCoReGe crystal, computed with PBE.

Structure (CIF):
```
data_LiCoReGe
_chemical_formula_sum 'Li4 Co4 Re4 Ge4'
>>>

Wanted.
Search the data further above for the word "Ge4" and copy each line that has it.

Solution.
_chemical_formula_sum 'Li4 Co4 Re4 Ge4'